It remains to print the contents below from the first line to the one with "Li2PmInHg2, from" with every line break kept.

'''
[1]
The following is a PBE calculation of a relaxed structure of Li2In2Hg4Pb3, from Alexandria.

Cell and atoms, written as POSCAR:
```
Li2In2Hg4Pb3
1.0
-1.755 -3.496 -2.992
4.853 0.404 0.736
-0.892 -8.648 10.627
Pb Hg Li In
3 4 2 2
direct
0.000 0.000 0.752
0.000 0.000 0.000
0.000 0.000 0.248
0.667 0.333 0.649
0.667 0.333 0.122
0.333 0.667 0.351
0.333 0.667 0.878
0.333 0.667 0.117
0.667 0.333 0.883
0.667 0.333 0.426
0.333 0.667 0.574
```

Output
energy relative to the elements	-0.095	eV/atom
symmetry	P-3m1

=====

[2]
The following is a PBE calculation of a relaxed structure of LiInHgPb, from Alexandria.

Cell and atoms, written as POSCAR:
```
LiInHgPb
1.0
-2.868 -1.649 0.440
1.618 -2.213 2.256
-0.482 5.831 6.060
Li Pb Hg In
1 1 1 1
direct
0.061 0.430 0.121
0.443 0.930 0.885
0.650 0.930 0.300
0.277 0.429 0.555
```

Output
energy relative to the elements	-0.123	eV/atom
symmetry	Amm2
offset from the most stable computed form	0	meV/atom

=====

[3]
The following is a PBE calculation of a relaxed structure of Li5In2Hg2Pd, from Alexandria.

Cell and atoms, written as POSCAR:
```
Li5In2Hg2Pd
1.0
3.284 0.000 0.000
0.000 10.783 0.000
0.000 0.000 10.783
In Li Hg Pd
4 10 4 2
direct
0.000 0.333 0.833
0.000 0.167 0.333
0.000 0.833 0.667
0.000 0.667 0.167
0.500 0.530 0.686
0.500 0.500 0.000
0.500 0.314 0.530
0.500 0.970 0.186
0.500 0.000 0.500
0.500 0.814 0.970
0.500 0.030 0.814
0.500 0.470 0.314
0.500 0.186 0.030
0.500 0.686 0.470
0.000 0.359 0.141
0.000 0.141 0.641
0.000 0.859 0.359
0.000 0.641 0.859
0.000 0.500 0.500
0.000 0.000 0.000
```

Output
energy relative to the elements	-0.258	eV/atom
symmetry	P4/mbm

=====

[4]
The following is a PBE calculation of a relaxed structure of Li3In3HgPd2, from Alexandria.

Cell and atoms, written as POSCAR:
```
Li3In3HgPd2
1.0
3.137 0.000 0.000
0.000 7.714 0.000
0.000 -3.857 6.680
Li In Pd Hg
3 3 2 1
direct
0.500 0.000 0.705
0.500 0.705 0.000
0.500 0.295 0.295
0.000 0.383 0.000
0.000 0.000 0.383
0.000 0.617 0.617
0.500 0.667 0.333
0.500 0.333 0.667
0.000 0.000 0.000
```

Output
energy relative to the elements	-0.418	eV/atom
symmetry	P-62m

=====

[5]
The following is a PBE calculation of a relaxed structure of LiPmInHg, from Alexandria.

Cell and atoms, written as POSCAR:
```
LiPmInHg
1.0
5.154 0.000 0.000
2.577 4.463 0.000
2.577 1.488 4.208
Pm Hg Li In
1 1 1 1
direct
0.500 0.500 0.500
0.250 0.250 0.250
0.000 0.000 0.000
0.750 0.750 0.750
```

Output
energy relative to the elements	-0.432	eV/atom
symmetry	F-43m

=====

[6]
The following is a PBE calculation of a relaxed structure of LiPm2InHg4, from Alexandria.

Cell and atoms, written as POSCAR:
```
LiPm2InHg4
1.0
5.164 0.000 0.000
2.582 4.472 0.000
2.582 1.491 8.393
Pm Hg In Li
2 4 1 1
direct
0.255 0.255 0.236
0.745 0.745 0.764
0.868 0.868 0.395
0.383 0.383 0.850
0.617 0.617 0.150
0.132 0.132 0.605
0.000 0.000 0.000
0.500 0.500 0.500
```

Output
energy relative to the elements	-0.460	eV/atom
symmetry	R-3m

=====

[7]
The following is a PBE calculation of a relaxed structure of Li2PmInHg2, from Alexandria.

Cell and atoms, written as POSCAR:
```
Li2PmInHg2
1.0
4.843 0.000 0.000
-2.422 4.195 0.000
0.000 0.000 6.566
Pm In Li Hg
1 1 2 2
direct
0.000 0.000 0.000
0.000 0.000 0.500
0.667 0.333 0.333
0.333 0.667 0.667
0.667 0.333 0.769
0.333 0.667 0.231
```

Output
energy relative to the elements	-0.424	eV/atom
symmetry	P-3m1

=====

[8]
The following is a PBE calculation of a relaxed structure of LiPrInHg, from Alexandria.

Cell and atoms, written as POSCAR:
```
LiPrInHg
1.0
-3.397 2.457 -3.092
-5.109 -0.328 0.964
-2.590 4.161 1.764
In Pr Li Hg
1 1 1 1
direct
0.250 0.250 0.250
0.500 0.500 0.500
0.000 0.000 0.000
0.750 0.750 0.750
```

Output
energy relative to the elements	-0.429	eV/atom
symmetry	F-43m

=====

[9]
The following is a PBE calculation of a relaxed structure of LiIn2HgPt, from Alexandria.

Cell and atoms, written as POSCAR:
```
LiIn2HgPt
1.0
-3.162 3.865 1.537
-2.925 -0.694 -4.273
-2.811 -3.276 2.457
Li In Hg Pt
1 2 1 1
direct
'''

[1]
The following is a PBE calculation of a relaxed structure of Li2In2Hg4Pb3, from Alexandria.

Cell and atoms, written as POSCAR:
```
Li2In2Hg4Pb3
1.0
-1.755 -3.496 -2.992
4.853 0.404 0.736
-0.892 -8.648 10.627
Pb Hg Li In
3 4 2 2
direct
0.000 0.000 0.752
0.000 0.000 0.000
0.000 0.000 0.248
0.667 0.333 0.649
0.667 0.333 0.122
0.333 0.667 0.351
0.333 0.667 0.878
0.333 0.667 0.117
0.667 0.333 0.883
0.667 0.333 0.426
0.333 0.667 0.574
```

Output
energy relative to the elements	-0.095	eV/atom
symmetry	P-3m1

=====

[2]
The following is a PBE calculation of a relaxed structure of LiInHgPb, from Alexandria.

Cell and atoms, written as POSCAR:
```
LiInHgPb
1.0
-2.868 -1.649 0.440
1.618 -2.213 2.256
-0.482 5.831 6.060
Li Pb Hg In
1 1 1 1
direct
0.061 0.430 0.121
0.443 0.930 0.885
0.650 0.930 0.300
0.277 0.429 0.555
```

Output
energy relative to the elements	-0.123	eV/atom
symmetry	Amm2
offset from the most stable computed form	0	meV/atom

=====

[3]
The following is a PBE calculation of a relaxed structure of Li5In2Hg2Pd, from Alexandria.

Cell and atoms, written as POSCAR:
```
Li5In2Hg2Pd
1.0
3.284 0.000 0.000
0.000 10.783 0.000
0.000 0.000 10.783
In Li Hg Pd
4 10 4 2
direct
0.000 0.333 0.833
0.000 0.167 0.333
0.000 0.833 0.667
0.000 0.667 0.167
0.500 0.530 0.686
0.500 0.500 0.000
0.500 0.314 0.530
0.500 0.970 0.186
0.500 0.000 0.500
0.500 0.814 0.970
0.500 0.030 0.814
0.500 0.470 0.314
0.500 0.186 0.030
0.500 0.686 0.470
0.000 0.359 0.141
0.000 0.141 0.641
0.000 0.859 0.359
0.000 0.641 0.859
0.000 0.500 0.500
0.000 0.000 0.000
```

Output
energy relative to the elements	-0.258	eV/atom
symmetry	P4/mbm

=====

[4]
The following is a PBE calculation of a relaxed structure of Li3In3HgPd2, from Alexandria.

Cell and atoms, written as POSCAR:
```
Li3In3HgPd2
1.0
3.137 0.000 0.000
0.000 7.714 0.000
0.000 -3.857 6.680
Li In Pd Hg
3 3 2 1
direct
0.500 0.000 0.705
0.500 0.705 0.000
0.500 0.295 0.295
0.000 0.383 0.000
0.000 0.000 0.383
0.000 0.617 0.617
0.500 0.667 0.333
0.500 0.333 0.667
0.000 0.000 0.000
```

Output
energy relative to the elements	-0.418	eV/atom
symmetry	P-62m

=====

[5]
The following is a PBE calculation of a relaxed structure of LiPmInHg, from Alexandria.

Cell and atoms, written as POSCAR:
```
LiPmInHg
1.0
5.154 0.000 0.000
2.577 4.463 0.000
2.577 1.488 4.208
Pm Hg Li In
1 1 1 1
direct
0.500 0.500 0.500
0.250 0.250 0.250
0.000 0.000 0.000
0.750 0.750 0.750
```

Output
energy relative to the elements	-0.432	eV/atom
symmetry	F-43m

=====

[6]
The following is a PBE calculation of a relaxed structure of LiPm2InHg4, from Alexandria.

Cell and atoms, written as POSCAR:
```
LiPm2InHg4
1.0
5.164 0.000 0.000
2.582 4.472 0.000
2.582 1.491 8.393
Pm Hg In Li
2 4 1 1
direct
0.255 0.255 0.236
0.745 0.745 0.764
0.868 0.868 0.395
0.383 0.383 0.850
0.617 0.617 0.150
0.132 0.132 0.605
0.000 0.000 0.000
0.500 0.500 0.500
```

Output
energy relative to the elements	-0.460	eV/atom
symmetry	R-3m

=====

[7]
The following is a PBE calculation of a relaxed structure of Li2PmInHg2, from Alexandria.